Thursday, 11 November 2010

video conferencing

### These records of molecules were left in the article by mistake
[1]
The following is a DFT calculation (ωB97M-V with the def2-TZVPD basis set) of C20H35AlBrCsFKN3O16S as an isolated structure.

Each line ends with the Mulliken charge.
Atoms and positions in Å:
C: -3.244 -0.806 2.572  -0.9065
C: -2.144 -0.545 1.413  0.9791
O: -2.396 0.436 0.396  -0.3467
C: -3.759 0.903 0.232  -0.3949
C: -4.804 -0.091 -0.538  -0.2692
O: -4.645 -1.524 -0.301  -0.3691
C: -3.687 -2.153 -1.233  -0.0603
C: -4.252 -2.373 -2.756  -0.4497
O: -3.721 -1.419 -3.750  -0.1825
C: -3.311 -2.088 -4.996  -0.7725
C: -1.661 -2.223 -4.930  0.4969
C: -0.841 -3.665 -4.912  0.2926
F: -1.600 -4.944 -4.971  -0.2395
C: 0.827 -3.665 -4.829  -0.4680
C: 1.718 -2.257 -4.736  -0.2314
C: 0.866 -0.854 -4.766  -0.0848
C: -0.770 -0.846 -4.880  0.5412
C: -1.175 0.742 -4.920  0.2563
O: -2.395 1.255 -5.104  -0.4831
N: 0.071 1.619 -4.765  -0.1966
C: 1.323 0.720 -4.698  0.2354
O: 2.560 1.212 -4.574  -0.5392
H: -3.130 0.067 3.380  0.4243
H: -2.916 -1.792 3.159  0.1799
H: -4.352 -0.948 2.228  0.2435
H: -1.943 -1.592 0.875  0.0776
H: -1.107 -0.285 1.944  -0.6455
H: -4.269 1.358 1.211  0.2592
H: -3.677 1.860 -0.485  0.2778
H: -5.900 0.203 -0.170  0.2884
H: -4.806 0.153 -1.705  0.1894
H: -2.626 -1.608 -1.248  0.0409
H: -3.460 -3.238 -0.793  0.2458
H: -4.013 -3.504 -3.049  0.3098
H: -5.436 -2.229 -2.736  0.2335
H: -3.652 -1.385 -5.898  0.2998
H: -3.816 -3.127 -5.187  0.3956
H: 1.379 -4.708 -4.829  0.3575
H: 2.889 -2.235 -4.673  0.4903
H: -0.093 2.188 -3.887  0.2464
C: 2.924 -2.773 3.864  -0.9276
C: 3.178 -2.312 2.432  -3.8474
O: 1.884 -2.098 1.873  -0.2380
S: 0.875 -1.596 3.051  0.9906
O: 0.795 -0.153 2.992  -0.4994
O: -0.290 -2.450 3.050  -0.5472
O: 1.814 -2.002 4.321  -0.4065
H: 2.639 -3.830 3.894  0.6602
H: 3.791 -2.612 4.510  0.5070
H: 3.733 -3.052 1.849  3.3733
H: 3.716 -1.358 2.414  0.6850
K: 1.856 -3.369 6.188  1.0940
Br: 0.792 -1.947 -2.664  -0.0309
O: 0.321 3.670 -2.138  -0.2602
H: 1.254 3.882 -2.397  0.2375
H: -0.307 4.375 -2.438  0.4805
H: 0.244 3.506 -1.164  0.4154
C: 2.800 2.373 3.397  0.0303
O: 3.551 1.797 4.174  -0.6565
N: 3.164 3.381 2.530  0.1409
C: 2.214 4.014 1.639  -0.3589
C: 4.543 3.824 2.509  -0.9847
H: 1.731 2.114 3.333  0.4318
H: 2.545 3.869 0.607  -0.2440
H: 2.175 5.084 1.864  0.5255
H: 1.215 3.585 1.759  0.1573
H: 5.185 2.975 2.253  0.2919
H: 4.817 4.184 3.505  0.3207
H: 4.681 4.623 1.776  0.3865
N: -0.958 4.990 2.261  0.8986
O: -1.533 4.576 3.281  -0.5434
O: -0.530 6.156 2.220  -0.5908
O: -0.811 4.240 1.283  -0.5453
O: -3.722 -0.937 5.293  -0.4820
H: -3.005 -1.544 5.327  0.2542
Cs: 4.563 -4.101 1.223  1.0033
Al: 2.755 4.657 -1.836  0.5461
O: 7.568 -1.023 3.397  -0.6535
H: 8.520 -1.080 3.570  0.3327
H: 7.284 -0.249 3.905  0.3312

## Properties
E_HOMO: -12.09 eV
gap between HOMO and LUMO: 1.48 eV
LUMO level: -10.607 eV
charge: +3



[2]
The following is a DFT calculation (ωB97M-V with the def2-TZVPD basis set) of C11H11F3N2O3V as an isolated structure.

Each line ends with the natural charge from an NBO analysis.
Atoms and positions in Å:
### The article goes on

1. what is it ?
  • Video conferencing is a communication technology that lets you hear and talk to and see people as if they were in the same room. They need a computer, webcam, broadband and microphone and they can see, hear and make meetings to sort stuff out and make sure everything is going ok in their company.
2. How can it be used ?
  • it can be used worldwide to have long distance meetings across the world without travelling. It will be a lot cheaper considering you won't have to pay for flight to a different country. It is mainly used by large businesses to conduct meetings that might involve companies across the globe.
3.what hardware is required ?
  • television
  • video camera
  • broadband
  • computer
  • microphones (everyone)
  • internet
  • speakers
4. look at the social impacts of the use of video conferencing ?
It’s good because people can keep in touch with each other when they may not have spoken in a long time like they are still living near each other and they can use it to interact at anytime day or night. But it’s mainly used in business, if they have got one job in another country they can talk to them and find out how it’s going on and if they are doing it to the right standard. It can be used for meetings between other companies. and you will not see them in person but you could arrange to meet up with them or even go out with them to some where. but the only thing with video conerencing is that you don't see them face to face and cannot read their body language and also the equipment could stop working or even cut off and also might need to employ someone to set it up. i will also not give my password to anyone so they cannot get on my blog and by not giving my blog name to anyone but friends that i know.


step by step to use video conferencing

1.Make sure you use the right equiment both parties in the conference need to be connected via the Internet using one of several available services like SKYPE or Adobe Connect, or NetMeeting.
2.SKYPE is good for one-to-one conferencing if you want to retain the video aspect. You can have up to 15 callers in a SKYPE call, but will lose the video with the third caller. SKYPE is free.

********
Below is a 2-piece molecular cluster, C3H4I2O overall in a non-equilibrium geometry, with properties calculated with wB97M-V/def2-TZVPD.

## Properties
LUMO energy (alpha / beta) ... -1.56 / -1.57 eV
Frontier orbital gap (alpha / beta) ... 6.5 / 6.5 eV
DFT total energy ... -787.0500 Ha
Multiplicity ... 1
Highest occupied orbital energy (alpha / beta) ... -0.2975 / -0.2975 Eh

CARTESIAN COORDINATES (ANGSTROEM)
O: -1.50 -1.46 1.19
H: 0.56 -1.46 1.04
H: -0.54 -1.34 -0.42
H: 2.32 0.48 -0.86
I: 1.48 2.71 -1.99
C: -0.27 -0.96 0.59
H: -2.09 -0.98 0.73
I: -1.43 1.83 0.86
C: -0.03 0.46 0.45
C: 1.50 0.72 -1.58

Charge distribution, Mulliken scheme, values in e: -0.48 0.37 0.33 0.21 0.09 -0.29 0.24 0.23 -0.34 -0.37

---

Below is one molecule with the formula C5H13NO in a non-equilibrium geometry, with properties calculated with wB97M-V/def2-TZVPD.

## Properties
LUMO energy ... 0.99 eV
SMILES ... CNCCCCO
Frontier orbital gap ... 9.6 eV
DFT total energy ... -328.2546 Ha
Multiplicity ... 1
Highest occupied orbital energy ... -0.3178 Eh

CARTESIAN COORDINATES (ANGSTROEM)
H: 2.76 -2.44 0.68
H: 1.94 -0.27 -1.59
C: 0.12 0.39 -0.79
H: 2.16 0.21 0.05
C: -0.61 0.85 0.55
O: 2.55 -2.44 -0.26
C: 1.44 -0.32 -0.60
C: -2.90 1.70 1.02
H: 0.14 1.23 -1.48
H: 0.68 -2.02 0.59
H: -3.82 2.17 0.57
C: 1.27 -1.76 -0.30
H: 0.70 -2.25 -1.10
H: -2.70 2.40 1.87
N: -1.75 1.62 0.12
H: -1.52 2.57 -0.15
H: -0.71 -0.20 -1.18
H: 0.20 1.32 1.10
H: -0.96 0.00 1.11
H: -3.28 0.75 1.32

Charge distribution, Mulliken scheme, values in e: 0.31 0.21 -0.77 0.29 -0.58 -0.52 -0.29 -0.86 0.45 0.33 0.29 -0.61 0.28 0.30 -0.28 0.21 0.29 0.26 0.38 0.31

---

Below is C54H56AsN6ORbSSi2 as an isolated structure in a non-equilibrium geometry, with properties calculated with wB97M-V/def2-TZVPD.

## Properties
LUMO energy (alpha / beta) ... 2.52 / 2.52 eV
Net charge ... -2
Frontier orbital gap (alpha / beta) ... 3.7 / 3.7 eV
DFT total energy ... -5732.1124 Ha
Multiplicity ... 1
Highest occupied orbital energy (alpha / beta) ... -0.0435 / -0.0435 Eh

CARTESIAN COORDINATES (ANGSTROEM)
H: 2.95 -5.29 -6.42
C: 2.76 8.29 0.33
H: 5.16 0.51 -0.40
C: 3.73 -1.53 -5.21
C: 1.36 6.49 -0.46
As: 1.58 -3.47 -3.29
C: 5.39 -2.75 -0.29
C: 1.25 -2.59 -6.64
C: -0.53 -6.14 -2.64
C: -3.20 -0.85 3.95
H: -5.42 0.88 -1.57
C: 3.57 -4.54 -5.88
H: 0.84 6.04 -1.32
H: 0.81 -1.59 -6.44
H: -1.57 -6.47 -2.94
C: 1.78 2.83 3.86
H: 4.44 -4.24 -6.47
C: -3.52 -2.75 1.34
N: -0.32 3.12 2.84
C: -5.64 1.90 -1.90
H: 2.91 4.12 2.50
Si: 2.57 -3.04 -5.37
H: 3.54 -0.66 -5.85
N: -1.37 -0.10 2.72
H: -8.33 3.55 -3.22
C: -4.74 2.98 -1.71
H: -2.63 0.35 5.75
H: -0.27 -1.11 5.75
H: 1.80 6.20 2.93
H: -1.32 -3.06 -5.08
H: 3.20 -0.46 2.38
H: 3.65 -1.05 -4.21
C: 0.40 2.40 3.78
C: 1.93 3.74 2.84
C: -2.95 -0.53 0.28
C: -4.10 -3.32 0.15
H: -5.26 -4.87 -0.67
C: -0.74 4.63 0.20
H: 0.15 -1.51 8.08
C: -2.27 5.09 -1.38
C: -2.40 3.70 -0.91
C: 0.98 1.94 6.65
C: 0.05 -0.28 6.39
C: -3.41 -3.61 2.48
C: 0.33 4.84 1.11
C: 0.96 0.43 8.52
C: -2.08 -0.65 -0.84
N: -3.69 0.62 0.22
********

3. So the people in the conferencing will need to have a webcam, speaker and microphone. But headset will work better in the work place because it will not bother others.

4.Decide on the time for the video conference and make sure all parties are given log-in information or are at their desks ready to accept a video call and make sure all the equiment is working and ready to uses.
5.Have an agenda or schedule prepared so the conference can move along on time. If there are handouts, make sure they are emailed to all participants before the start of the conference so everyone is prepared and some chat sites have feature so they can asjk questions. Set guidelines for handling interaction like questions and comments.


  1. good step by step instructions, and lots of great detail about hardware etc. nice one

  2. This is very good, and explains a lot of detail, the software that uses it is also a very nice addition.

## Here the entry breaks off for quantum chemistry results
-- begin --
{"formula": "C26H24N7O3Ti", "method": "ωB97M-V/def2-TZVPD", "symbols": ["Ti", "C", "C", "N", "O", "C", "C", "N", "O", "H", "H", "H", "H", "H", "H", "H", "C", "C", "N", "C", "C", "C", "C", "C", "C", "C", "C", "C", "N", "C", "H", "H", "H", "H", "H", "H", "H", "H", "N", "C", "C", "C", "C", "C", "N", "C", "C", "C", "C", "C", "N", "H", "H", "H", "H", "H", "H", "H", "H", "H", "O"], "coordinates": [[-0.016, -0.250, 0.020], [3.147, 1.005, 3.235], [2.012, 0.870, 2.261], [1.752, -0.175, 1.555], [2.553, -1.306, 1.656], [1.095, 1.987, 2.108], [1.150, 3.265, 2.875], [0.144, 1.783, 1.227], [-0.731, 2.696, 1.082], [3.827, 0.158, 3.281], [2.748, 1.165, 4.238], [3.739, 1.883, 2.977], [3.205, -1.164, 2.353], [2.001, 3.310, 3.553], [0.231, 3.398, 3.451], [1.199, 4.112, 2.187], [-3.278, -2.185, -2.439], [-2.174, -1.470, -2.003], [-1.874, -1.290, -0.724], [-2.672, -1.881, 0.216], [-3.844, -2.600, -0.142], [-4.132, -2.746, -1.485], [-4.635, -3.145, 0.928], [-4.279, -2.967, 2.215], [-3.099, -2.219, 2.591], [-2.728, -1.981, 3.897], [-1.579, -1.193, 4.131], [-0.860, -0.705, 3.073], [-1.157, -0.937, 1.771], [-2.298, -1.690, 1.545], [-3.463, -2.295, -3.497], [-1.501, -1.012, -2.721], [-5.013, -3.297, -1.792], [-5.528, -3.707, 0.679], [-4.887, -3.382, 3.010], [-3.315, -2.373, 4.717], [-1.261, -0.957, 5.137], [0.001, -0.085, 3.258], [0.517, 2.132, -2.778], [1.672, 1.467, -2.417], [2.822, 1.762, -3.169], [3.991, 1.111, -2.877], [3.995, 0.156, -1.863], [2.822, -0.083, -1.189], [1.669, 0.584, -1.428], [-0.761, 2.130, -2.251], [-1.665, 3.042, -2.822], [-2.929, 3.140, -2.303], [-3.272, 2.348, -1.211], [-2.332, 1.477, -0.729], [-1.100, 1.320, -1.260], [0.651, 2.818, -3.500], [2.769, 2.488, -3.969], [4.889, 1.327, -3.441], [4.882, -0.409, -1.615], [2.740, -0.846, -0.436], [-1.350, 3.659, -3.654], [-3.639, 3.836, -2.730], [-4.240, 2.414, -0.736], [-2.556, 0.858, 0.128], [0.687, -1.599, -0.491]], "spin_multiplicity": 2, "homo_energy_ev": [-4.560, -7.277]}

=====
-- stop --
## So much for the quantum chemistry results

  3.'ve steps and good description...=)

  4. well its not great tbh mines better by far its all about keeping it short and cool, you need to write less because no one likes to read alot :) haha

  5. To do video conferencing we should have the best Video Conferencing Software, Internet, PC, webcam, Speakers etc.
